-- Job --
Type out the lines below up to the one that holds "107.87 Ag.upf", that line included.
-- Data --
********
! PBE-GGA CdAgTe2, optimized geometry; values from VASP
! - Magnetic moment: 0.00 μB per cell
! - ΔE_f (raw): 1.0 eV/f.u.
! - SG: F-43m, No. 216
&SYSTEM
  ibrav = 0, nat = 16, ntyp = 3
/
ATOMIC_SPECIES
Cd 112.41 Cd.upf
Ag 107.87 Ag.upf
Te 127.60 Te.upf
ATOMIC_POSITIONS crystal
Cd 0.0000 0.0000 0.0000
Cd 0.0000 0.5000 0.5000
Cd 0.5000 0.0000 0.5000
Cd 0.5000 0.5000 0.0000
Ag 0.2500 0.2500 0.2500
Ag 0.2500 0.7500 0.7500
Ag 0.7500 0.2500 0.7500
Ag 0.7500 0.7500 0.2500
Te 0.0000 0.0000 0.5000
Te 0.0000 0.5000 0.0000
Te 0.2500 0.2500 0.7500
Te 0.2500 0.7500 0.2500
Te 0.5000 0.0000 0.0000
Te 0.5000 0.5000 0.5000
Te 0.7500 0.2500 0.2500
Te 0.7500 0.7500 0.7500
CELL_PARAMETERS angstrom
7.4394 0.0000 0.0000
0.0000 7.4394 0.0000
0.0000 0.0000 7.4394


# 1
# Li2TcNi (GGA-PBEsol, relaxed)
# Formation energy, eV/atom: 0.545
# V, Å³/cell: 47
# Crystal system: tetragonal
# Space-group type: No. 123
data_Li2TcNi
_cell_length_a 2.4275
_cell_length_b 4.4107
_cell_length_c 4.4107
_cell_angle_alpha 90.00
_cell_angle_beta 90.00
_cell_angle_gamma 90.00
_space_group_name_H-M_alt 'P 1'
_space_group_IT_number 1
_space_group_name_Hall 'P 1'
loop_
_atom_site_label
_atom_site_fract_x
_atom_site_fract_y
_atom_site_fract_z
_atom_site_occupancy
Li1 0.0000 0.0000 0.5000 1
Li2 0.0000 0.5000 0.0000 1
Ni1 0.5000 0.5000 0.5000 1
Tc1 0.5000 0.0000 0.0000 1

=====

# 2
# GaPb2S (GGA-PBEsol, relaxed)
# Total energy, eV/cell: -15.51
# V, Å³/cell: 93
# Crystal system: cubic
# Space-group type: No. 225
data_GaPb2S
_cell_length_a 5.0802
_cell_length_b 5.0802
_cell_length_c 5.0802
_cell_angle_alpha 60.00
_cell_angle_beta 60.00
_cell_angle_gamma 60.00
_space_group_name_H-M_alt 'P 1'
_space_group_IT_number 1
_space_group_name_Hall 'P 1'
loop_
_atom_site_label
_atom_site_fract_x
_atom_site_fract_y
_atom_site_fract_z
_atom_site_occupancy
Pb1 0.2500 0.2500 0.2500 1
Pb2 0.7500 0.7500 0.7500 1
S1 0.0000 0.0000 0.0000 1
Ga1 0.5000 0.5000 0.5000 1

=====

# 3
# RbInTe (GGA-PBEsol, relaxed)
# Total energy, eV/cell: -18.90
# V, Å³/cell: 229
# Crystal system: orthorhombic
# Space-group type: No. 63
data_RbInTe
_cell_length_a 4.4241
_cell_length_b 5.4513
_cell_length_c 9.7449
_cell_angle_alpha 90.00
_cell_angle_beta 103.12
_cell_angle_gamma 90.00
_space_group_name_H-M_alt 'P 1'
_space_group_IT_number 1
_space_group_name_Hall 'P 1'
loop_
_atom_site_label
_atom_site_fract_x
_atom_site_fract_y
_atom_site_fract_z
_atom_site_occupancy
Te1 0.8690 0.7500 0.7381 1
Te2 0.1310 0.2500 0.2619 1
Rb1 0.6729 0.7500 0.3459 1
Rb2 0.3271 0.2500 0.6541 1
In1 0.4717 0.7500 0.9433 1
In2 0.5283 0.2500 0.0567 1

=====

# 4
# La3CrS (GGA-PBEsol, relaxed)
# Total energy, eV/cell: -32.10
# V, Å³/cell: 161
# Crystal system: cubic
# Space-group type: No. 221
data_La3CrS
_cell_length_a 5.4367
_cell_length_b 5.4367
_cell_length_c 5.4367
_cell_angle_alpha 90.00
_cell_angle_beta 90.00
_cell_angle_gamma 90.00
_space_group_name_H-M_alt 'P 1'
_space_group_IT_number 1
_space_group_name_Hall 'P 1'
loop_
_atom_site_label
_atom_site_fract_x
_atom_site_fract_y
_atom_site_fract_z
_atom_site_occupancy
Cr1 0.5000 0.5000 0.5000 1
S1 0.0000 0.0000 0.0000 1
La1 0.0000 0.5000 0.0000 1
La2 0.0000 0.0000 0.5000 1
La3 0.5000 0.0000 0.0000 1

=====

# 5
# TlSb2Cl (GGA-PBEsol, relaxed)
# V, Å³/cell: 97
# E above lowest polymorph, meV per atom: 38
# Crystal system: cubic
# Space-group type: No. 225
data_TlSb2Cl
_cell_length_a 5.1661
_cell_length_b 5.1661
_cell_length_c 5.1661
_cell_angle_alpha 60.00
_cell_angle_beta 60.00
_cell_angle_gamma 60.00
_space_group_name_H-M_alt 'P 1'
_space_group_IT_number 1
_space_group_name_Hall 'P 1'
loop_
_atom_site_label
_atom_site_fract_x
_atom_site_fract_y
_atom_site_fract_z
_atom_site_occupancy
Sb1 0.2500 0.2500 0.2500 1
Sb2 0.7500 0.7500 0.7500 1
Tl1 0.5000 0.5000 0.5000 1
Cl1 0.0000 0.0000 0.0000 1

=====

# 6
# KGePPb2 (GGA-PBEsol, relaxed)
# Formation energy, eV/atom: 0.524
# V, Å³/cell: 158
# Crystal system: tetragonal
# Space-group type: No. 123
data_KGePPb2
_cell_length_a 5.2710
********
-- Done --
! PBE-GGA CdAgTe2, optimized geometry; values from VASP
! - Magnetic moment: 0.00 μB per cell
! - ΔE_f (raw): 1.0 eV/f.u.
! - SG: F-43m, No. 216
&SYSTEM
  ibrav = 0, nat = 16, ntyp = 3
/
ATOMIC_SPECIES
Cd 112.41 Cd.upf
Ag 107.87 Ag.upf